Dust Suppression System Company

Dust suppression on roads

Inserted here: data records >
____________
Record 1
{"formula": "C9H18N3O3", "method": "ωB97M-V/def2-TZVPD", "species": ["C", "C", "C", "C", "C", "C", "C", "C", "C", "N", "N", "N", "O", "O", "O", "H", "H", "H", "H", "H", "H", "H", "H", "H", "H", "H", "H", "H", "H", "H", "H", "H", "H"], "coordinates": [[1.09, -0.40, 0.35], [0.41, -1.58, 0.41], [2.56, -0.44, 0.23], [-2.15, -0.05, -0.31], [5.12, 0.82, -1.00], [-1.52, -2.98, 0.62], [-3.36, 2.03, -0.43], [-2.67, 1.06, 1.72], [4.50, 0.91, 0.38], [-1.46, -1.38, -2.08], [-0.84, -1.75, 0.78], [-2.70, 0.94, 0.27], [3.20, -1.45, 0.09], [3.07, 0.79, 0.35], [-2.12, -0.20, -1.61], [0.60, 0.56, 0.38], [1.01, -2.47, 0.18], [4.95, -0.16, -1.44], [4.69, 1.58, -1.66], [6.19, 0.99, -0.92], [-1.36, -3.47, -0.35], [-1.17, -3.64, 1.41], [-2.59, -2.82, 0.79], [-3.55, 1.76, -1.47], [-2.72, 2.92, -0.41], [-4.30, 2.27, 0.06], [-2.22, 2.02, 1.99], [-2.10, 0.25, 2.14], [-3.69, 1.04, 2.11], [4.68, 1.88, 0.84], [4.90, 0.11, 1.02], [-0.68, -1.06, -2.66], [-2.13, -1.86, -2.68]], "orbital_gap_ha": [0.27403, 0.27330], "homo_energy_ev": [-12.56, -12.63], "total_charge": 1, "e_lumo_ev": [-5.11, -5.20], "de_lowest_ev": 5.950}



Record 2
{"formula": "C9H18N4Si", "method": "ωB97M-V/def2-TZVPD", "species": ["C", "C", "C", "C", "C", "C", "C", "C", "C", "N", "N", "N", "N", "Si", "H", "H", "H", "H", "H", "H", "H", "H", "H", "H", "H", "H", "H", "H", "H", "H", "H", "H"], "coordinates": [[0.91, -0.91, 1.30], [-0.83, 1.21, -1.29], [-0.97, -3.31, -0.69], [-1.00, -1.95, -0.87], [1.96, -1.60, 3.27], [-2.45, 2.73, -1.33], [0.45, -1.38, 3.56], [-1.33, 3.13, -2.35], [2.06, -0.13, -1.37], [2.06, -1.22, 1.81], [-2.02, 1.46, -0.80], [0.01, -0.94, 2.23], [-0.28, 2.18, -1.97], [0.45, -0.69, -0.64], [-1.90, -3.92, -0.95], [-0.18, -4.03, -0.42], [-1.95, -1.65, -1.25], [2.56, -0.96, 4.01], [2.48, -2.62, 3.43], [-2.57, 3.42, -0.55], [-3.48, 2.70, -1.84], [-0.15, -2.18, 3.96], [0.40, -0.58, 4.29], [-1.61, 2.91, -3.34], [-0.99, 4.18, -2.26], [2.47, 0.76, -0.72], [2.94, -0.75, -1.62], [1.81, 0.19, -2.33], [2.82, -1.48, 1.29], [-2.66, 0.73, -0.62], [-0.91, -0.67, 2.17], [0.33, 1.91, -2.68]], "orbital_gap_ha": 0.35039, "homo_energy_ev": -16.80, "total_charge": 2, "e_lumo_ev": -7.27, "de_lowest_ev": 1.373}



Record 3
____________

What is dust suppression?

Dust suppression refers to the application of water and a mix of chemicals that are used to prevent fine particles from being carried into the air or the air above the surface to being weighed down back to the land. A large portion of unpaved roads across the country. Unpaved roads are mostly used to connect rural farm-to-market kind of roads, forest service roads and timber haul road. These roads are generally very economic and easy to construct by using locally available soil and basic engineering properties.

Dust generation from unpaved roads generally occurs because of vehicular traffic and wind which leads to loss of the top layer road surface material. Subsequently, the loss of road surface material fine particles in the form of dust leads to the formation of ruts, potholes, and corrugation which can cause damage to the property, machinery and equipment. The amount of dust generated and the consequent fines loss is determined primarily by the volume of traffic using the unpaved road as well as the speed, weight, and number of wheels of the vehicle which all constitute to external factors that can directly influence the levels of dust.

The abrasive resistance of the road surface material and the number of fines in the initial road surface material mix are also important contributing factors in the level of dust. The climatic condition of a region is also a contributing factor affecting the dust generation quantity. Long dry spells that often occur in semiarid and arid regions can aggravate unpaved road dustiness based on location and climate.

Fugitive dust from unpaved roads is noted as a major non-point source contributor to the particulate loading in atmospheric air pollution and can be the direct cause for health ailments. To residents living along unpaved roads face major problem of the traffic-generated dust penetrating into their homes causing a nuisance and health problems such as hay fever and dust allergies. Crops and vegetation near unpaved roads can be covered with the airborne dust stunting their growth due to the shading effect and clogging of the plant’s pores which can disrupt the agricultural cycles.

Fine particles resulting from traffic actions can also be washed off during precipitation events and be carried into nearby creeks, streams, and lakes increasing their respective particulate loading which is the main cause for extreme water pollution in certain areas across the country. For motorists using the unpaved roads the traffic-generated dust can reduce visibility and cause driving hazards which can lead to accidents.

All these problems can be easily dealt with by using the right kind of dust suppression modes which is based on various factors. Choosing the right mode of dust suppression is also very important for the long-term benefits and efficiency to be maintained. It can prove to be a worthy investment where returns can be seen in the quality of air, water and standard of living in and around that area by giving these factors a major positive boost.